Red Team Toolkit Offensive Security Web-App for Red-Teaming
Red Team Toolkit Offensive Security Web-App for Red-Teaming

Red Team Toolkit: Offensive Security Web-App for Red-Teaming

**Materials data that have nothing to do with the article**
+++
No. 1
## MgMnCo3O8 (GGA+U)

Data for a relaxed MgMnCo3O8 crystal.

Cell and atoms, written as POSCAR:
```
MgMnCo3O8
1.0
-0.805 -0.936 -2.724
-0.087 -2.914 -0.678
-18.357 -1.352 7.946
O Co Mg Mn
8 3 1 1
Cartesian
-15.429 -4.690 3.661
-3.913 -0.938 1.158
-6.195 -3.574 -0.583
-17.793 -2.599 6.557
-8.644 -2.014 2.246
-1.537 -2.614 -1.971
-12.657 -3.642 4.172
-10.931 -3.175 1.924
-14.410 -3.358 4.538
-5.055 -2.256 0.288
-9.215 -3.651 2.969
-11.832 -1.956 3.405
-0.848 -0.941 -2.702
```

E_tot (eV/atom): -6.055
ρ (g/cm3): 4.2
Crystal system: triclinic
Space-group type: P1
ΔE to the lowest computed polymorph (meV per atom): 130
V (Å³ per atom): 11.73
DFT formation energy (eV per atom): -1.471



No. 2
## MgMnCo3O8 (GGA+U)

Data for a relaxed MgMnCo3O8 crystal.

Cell and atoms, written as POSCAR:
```
MgMnCo3O8
1.0
-1.930 -5.281 -0.151
-5.770 -0.915 0.967
-2.378 -1.983 -4.885
Mg Co O Mn
1 3 8 1
Cartesian
-8.356 -5.884 -1.584
-6.730 -3.553 0.756
-5.212 -2.479 -4.401
-6.164 -5.083 -4.475
-4.130 -5.742 -3.767
-3.552 -4.673 -0.659
-2.661 -2.005 -0.636
-5.759 -2.301 -0.261
-6.296 -3.590 -3.322
-7.388 -6.182 -3.484
-3.245 -3.323 -3.698
-6.776 -5.083 -0.340
-8.029 -2.946 -3.745
```

E_tot (eV/atom): -6.142
ρ (g/cm3): 4.3
Crystal system: monoclinic
Space-group type: Cm
ΔE to the lowest computed polymorph (meV per atom): 43
V (Å³ per atom): 11.33
DFT formation energy (eV per atom): -1.558



No. 3
## NaMgCo2Mo2O10 (GGA+U)

Data for a relaxed NaMgCo2Mo2O10 crystal.

Cell and atoms, written as POSCAR:
```
NaMgCo2Mo2O10
1.0
-1.377 -1.524 -5.581
-2.910 4.128 -3.150
4.450 3.777 -5.681
O Mo Co Mg Na
10 2 2 1 1
Cartesian
1.459 3.263 -6.442
0.716 5.483 -8.350
1.121 5.618 -12.165
1.057 2.210 -4.029
-0.956 0.788 -2.389
1.450 2.972 -9.453
-1.230 3.185 -7.868
-1.156 4.069 -10.379
-1.498 3.482 -4.950
-0.615 0.818 -6.164
1.784 4.071 -8.065
-1.662 2.319 -6.345
-1.339 5.282 -8.797
-0.476 2.441 -10.053
1.204 1.335 -2.301
1.369 7.713 -8.622
```

E_tot (eV/atom): -6.371
ρ (g/cm3): 3.8
Crystal system: triclinic
Space-group type: P1
V (Å³ per atom): 14.15
DFT formation energy (eV per atom): -1.886



No. 4
## MgCoMo2O7 (GGA+U)

Data for a relaxed MgCoMo2O7 crystal.

Cell and atoms, written as POSCAR:
```
MgCoMo2O7
1.0
-8.116 -8.921 9.755
4.636 -5.142 -0.845
7.828 1.872 8.225
O Mg Mo Co
56 8 16 8
Cartesian
-0.052 -7.214 9.700
0.767 -4.625 8.549
7.150 -4.554 8.674
10.111 -4.489 7.666
-0.125 -10.927 13.264
4.350 -7.456 5.774
5.432 -3.282 2.112
3.581 -7.565 8.586
-1.083 -8.909 15.023
4.022 -0.118 6.526
-2.051 -5.010 9.445
2.843 -0.927 1.711
6.729 -2.044 10.192
8.613 0.632 7.935
6.400 -7.181 7.690
6.338 -5.546 3.939
1.907 -4.352 1.615
5.189 -3.845 11.829
2.841 -7.296 11.181
6.237 -3.087 5.688
-2.802 -7.637 8.461
4.306 -6.116 1.389
4.474 -1.264 3.871
8.654 -6.366 9.972
2.827 -4.312 10.548
3.712 -4.967 3.989
5.679 -6.376 10.632
-1.989 -6.645 13.196
0.327 -12.072 10.609
-0.841 -8.346 5.306
-0.001 -4.735 11.361
3.897 -6.111 13.310
0.637 -7.224 13.146
-4.264 -12.823 9.199
7.402 -1.782 7.685
+++

Red Team Toolkit is an Open-Source Django Offensive Web-App containing useful offensive tools used in the red-teamming together for the security specialist to identify vulnerabilities.

The open-source projects such as nmap, rustscan, dirsearch, shreder, circl, crowbar, etc are used what will be a powerful toolkit together.

Currently it supports the following options:

Next to the entry, the page also holds materials data:
i) DFT (PBE-GGA) results for a relaxed structure of BeO.

Cell lengths 2.701, 4.642, 4.642 Å; angles 90.00, 90.00, 90.00 degrees
Sites, in units of the cell vectors:
O: 0.000 0.311 0.311
O: 0.500 0.189 0.811
O: 0.500 0.811 0.189
Be: 0.500 0.173 0.173
Be: 0.000 0.673 0.327
Be: 0.000 0.327 0.673
Be: 0.500 0.827 0.827
O: 0.000 0.689 0.689



ii) DFT (PBE-GGA) results for a relaxed structure of BeO.

Properties
piezoelectric modulus e_max: 0.094 C/m2

Cell lengths 2.704, 2.704, 2.704 Å; angles 60.00, 60.00, 60.00 degrees
Sites, in units of the cell vectors:
O: 0.750 0.750 0.750
Be: 0.000 0.000 0.000



It is ii) that is the most stable of them.



i) DFT (PBE-GGA) results for a relaxed structure of Be2P2O7.

Cell lengths 4.983, 4.983, 8.891 Å; angles 76.38, 76.38, 96.16 degrees
Sites, in units of the cell vectors:
O: 0.887 0.602 0.109
P: 0.812 0.794 0.704
O: 0.351 0.422 0.135
O: 0.072 0.928 0.250
O: 0.602 0.887 0.609
O: 0.697 0.055 0.105
O: 0.303 0.945 0.895
O: 0.113 0.398 0.891
O: 0.055 0.697 0.605
O: 0.578 0.649 0.365
Be: 0.728 0.391 0.027
P: 0.794 0.812 0.204
O: 0.945 0.303 0.395
O: 0.398 0.113 0.391
O: 0.928 0.072 0.750
Be: 0.609 0.272 0.473
Be: 0.391 0.728 0.527
P: 0.188 0.206 0.296
Be: 0.272 0.609 0.973
O: 0.649 0.578 0.865
P: 0.206 0.188 0.796
O: 0.422 0.351 0.635



ii) DFT (PBE-GGA) results for a relaxed structure of Be2P2O7.

Cell lengths 10.574, 10.574, 8.868 Å; angles 82.57, 82.57, 43.83 degrees
Sites, in units of the cell vectors:
O: 0.132 0.962 0.601
Be: 0.574 0.709 0.379
O: 0.608 0.900 0.615
O: 0.486 0.681 0.514
Be: 0.709 0.574 0.879
O: 0.873 0.793 0.429
O: 0.663 0.064 0.244
P: 0.740 0.779 0.027
O: 0.667 0.274 0.927
Be: 0.506 0.074 0.229
P: 0.221 0.260 0.473
O: 0.454 0.308 0.778
O: 0.916 0.580 0.635
O: 0.319 0.514 0.986
O: 0.692 0.546 0.722
P: 0.260 0.221 0.973
O: 0.392 0.100 0.385
Be: 0.926 0.494 0.271
P: 0.937 0.852 0.807
O: 0.013 0.819 0.191
O: 0.100 0.392 0.885
O: 0.546 0.692 0.222
O: 0.868 0.038 0.399
P: 0.779 0.740 0.527
P: 0.852 0.937 0.307
O: 0.181 0.987 0.309
Be: 0.291 0.426 0.121
O: 0.333 0.726 0.073
Be: 0.146 0.780 0.049
O: 0.793 0.873 0.929
O: 0.337 0.936 0.756
O: 0.322 0.263 0.094
O: 0.900 0.608 0.115
Be: 0.780 0.146 0.549
O: 0.274 0.667 0.427
O: 0.127 0.207 0.571
P: 0.402 0.480 0.364
P: 0.148 0.063 0.693
O: 0.038 0.868 0.899
O: 0.962 0.132 0.101
P: 0.063 0.148 0.193
O: 0.678 0.737 0.906
Be: 0.074 0.506 0.729
O: 0.514 0.319 0.486
O: 0.420 0.084 0.865
Be: 0.426 0.291 0.621
O: 0.819 0.013 0.691
O: 0.936 0.337 0.256
O: 0.084 0.420 0.365
O: 0.726 0.333 0.573
Be: 0.494 0.926 0.771
O: 0.263 0.322 0.594
O: 0.737 0.678 0.406
O: 0.580 0.916 0.135
Be: 0.220 0.854 0.451
O: 0.207 0.127 0.071
O: 0.443 0.557 0.750
Be: 0.854 0.220 0.951
O: 0.987 0.181 0.809
O: 0.308 0.454 0.278
O: 0.064 0.663 0.744
O: 0.557 0.443 0.250
P: 0.520 0.598 0.136
P: 0.480 0.402 0.864
O: 0.681 0.486 0.014
P: 0.598 0.520 0.636



It is i) that is the most stable of them.

----------

# 1

  1. FullScan (scan ports and vulnerabilities/CVEs on the target – PDF output)
  2. Livehosts (scan all live hosts in the network scale – PDF output)
  3. DirScan (scan all directories on a target – PDF output)
  4. CVE Description ( CveID Search)
  5. SSH Dictionary Attack
  6. RDP BruteForce
  7. WebApps Section
    • Apache Path Traversal PoC ( CVE-2021-41773 )
    • Web Crawler for gathering URLs
    • SubDomain Enumeration
    • HTTP Verb Tampering
    • (SQLi will be added soon)
  8. Windows Section (Being updated, other major CVEs will be added)
    • Microsoft Exchange ProxyShell PoC ( CVE-2021-34523, CVE-2021-34473, CVE-2021-31207 )
  9. Linux Section to implement major Linux CVEs (UNDER MAINTENANCE)
Red Team Toolkit control panel
Red Team Toolkit control panel


Currently only tested on Debian/Ubuntu.



  • Install Required packages:
$ sudo add-apt-repository ppa:longsleep/golang-backports
$ sudo apt update && sudo apt install python3-pip python3-venv python3-django golang-go postgresql postgresql-contrib nmap git openvpn freerdp2-x11 tigervnc-viewer 
$ git clone && cd RedTeam_toolkit
$ go install
$ cp /home/$(whoami)/go/bin/hakrawler ./toolkit/scripts/webapp/
  • Set-up Postgresql DB for django: (set-up your password or you can set-up your new user & role):
sudo passwd postgres

login and create a new user and the database:

$ sudo -u postgres psql

postgres=# CREATE DATABASE redteam_toolkit_db;
postgres=# GRANT ALL PRIVILEGES ON DATABASE redteam_toolkit_db TO redteamuser;
postgres=# ALTER DATABASE redteam_toolkit_db OWNER TO redteamuser;
postgres=# \q


147r258r – we use this password in django, if you want to use another password, change the password in the too, both should be the same

  • put your SECRET_KEY in a new file .env (you can generate the key in the online sources, search: Django Secret Key Generator) . Here is where to create the file:
├─ Demo/
├─ RedTeam_toolkit/
├─ toolkit/
├─ .env
# .env file content:

SECRET_KEY = 'Your Secret Key'
  • active venv and Install the python packages:
$ python3 -m venv venv
$ source venv/bin/activate
$ pip3 install -r requirements.txt
  • Database migration:
python makemigrations
python migrate
  • Create a superuser to manage admin page:

you will need this user to login in the Web-UI

python createsuperuser
  • Start the project:
python runserver
  • You can access that via:

and you can login with your superuser or create a new user through: admin page.

Enter your superuser information and in the management page, you can add a new user.

login and start using that.

if you have any question about the Installation, ask me in the issues section.

Demo Screenshots

All pdf reports will be placed in toolkit/media/toolkit/reports/ in your local machine.
these gifs are sample to how to do that, and you can try other features yourself.

  • Fullscan
  • RDP BruteForce
  • HTTP VerbTampering
  • CVE Description
Dark Mode

RedTeam_toolkit (this link opens in a new window) by signorrayan (this link opens in a new window)

Red Team Toolkit is an Open-Source Django Offensive Web-App which is keeping the useful offensive tools used in the red-teaming together.